Show of hands, who is just plain ready to be done with 2016? Yea me too! Last year I predicted that 2016 would be a whirlwind, and that was a complete understatement. Just like the year before, I have this theme of wondering where the time goes, every year. This year is no exception in that it dragged on forever but also flew by in the blink of an eye. 2016 you’ve been a bit of doozy, so I am relieved to find it that time of year for the 2016 Year End Review: Agvocacy. Kicking it off with my adventures in sharing our dairy story in the last year.
I started 2016 on a very exciting note as I was offered the opportunity to write for the Hoard’s Dairyman Blog, HD Notebook. I seriously can’t tell you how much that offer meant to me. Growing up reading Hoard’s it has been a huge honor to write for them. It also couldn’t have come at a better time for my writing either as I was feeling rather unmotivated with publishing posts. The audience is mainly dairy farmers, so it’s fun and a little bit of a challenge to switch gears in writing for my peers. It also was interesting to have real deadlines again and created a good habit of sitting down to the keyboard when an idea popped into my head. I wrote my first post February 23rd and found inspiration in everyday farm life for the 22 posts this year. I am really looking forward to continuing my writing relationship with Hoard’s in 2017.
February and March launched 2016 on a great start offline. Opportunity after opportunity seemed to fall into my path and at the end I was proclaiming What a Month! It started off with my first speaking engagement at the Oregon Dairy Farmer’s Association’s annual convention. I’m not a speaker, but it was fun to share my social media story. The next day I left for Arizona to finish my third and final phase of the Young Dairy Leaders Institute. An experience I still need to share here on the blog and I will appreciate the many connections I made for the rest of my life. I returned home to my first tv commercial opportunity, filming for National Ag Week. I was the spokesperson for the Oregon dairy industry in the Celebrate Oregon Agriculture video series. I don’t think my future is in video, but I’m glad I said yes when the idea was sent my way. Check it out below! It really was a whirlwind of a couple weeks, but reassured me that sharing my story is important and valuable!
So with real deadlines in my life from Hoard’s that meant that my writing here for my blog kind of took a back seat. Of course building a barn had a huge part in that as well! A big part of my goal for 2016 was documenting our construction process. As things starting taking off the reality of running a dairy farm alongside the added construction work took over any extra time there was for blogging. I am glad to be catching back up with documenting what took place as the barn took shape. I did manage to publish 55 posts in 2016, 33 of them being not for Hoard’s. My personal two favorite posts for 2016 were #ILookLikeAFarmer and My Favorite Day of Spring. My top 5 most viewed for this year were:
- Construction Progress Update
- We Now Have a Barn
- The Country Christmas Connection
- Classification – Jan 2016
- June #Milksteps in a Day
____________
<one>
Here is a geometry-optimized KFePbOF6 structure from Materials Project. Energies are from GGA+U.

Output
**Symmetry**: P-1

Unit cell a=8.631 b=8.855 c=8.971 alpha=88.47 beta=89.03 gamma=89.96
Positions (direct):
K  0.242  0.492  0.001
K  0.258  0.008  0.999
K  0.742  0.992  0.001
K  0.758  0.508  0.999
Fe  0.007  0.759  0.779
Fe  0.493  0.741  0.221
Fe  0.507  0.259  0.779
Fe  0.993  0.241  0.221
Pb  0.001  0.242  0.724
Pb  0.498  0.259  0.276
Pb  0.502  0.741  0.724
Pb  0.999  0.758  0.276
O  0.071  0.493  0.498
O  0.429  0.007  0.502
O  0.571  0.993  0.498
O  0.929  0.507  0.502
F  0.001  0.984  0.803
F  0.010  0.537  0.796
F  0.018  0.247  0.995
F  0.028  0.790  0.568
F  0.221  0.246  0.224
F  0.233  0.761  0.810
F  0.267  0.740  0.190
F  0.278  0.253  0.776
F  0.472  0.709  0.432
F  0.482  0.253  0.005
F  0.490  0.963  0.203
F  0.499  0.517  0.196
F  0.501  0.483  0.804
F  0.510  0.037  0.797
F  0.518  0.747  0.995
F  0.528  0.291  0.568
F  0.722  0.747  0.224
F  0.733  0.260  0.810
F  0.767  0.239  0.190
F  0.779  0.754  0.776
F  0.972  0.210  0.432
F  0.982  0.753  0.005
F  0.990  0.463  0.204
F  0.999  0.016  0.197


<two>
Here is a geometry-optimized KFePbOF6 structure from Materials Project. Energies are from GGA+U.

Output
**Symmetry**: P-1

Unit cell a=5.851 b=5.874 c=8.969 alpha=82.21 beta=85.43 gamma=89.89
Positions (direct):
K  0.240  0.247  0.004
K  0.760  0.753  0.996
Fe  0.230  0.703  0.236
Fe  0.770  0.297  0.764
Pb  0.299  0.808  0.667
Pb  0.701  0.192  0.333
O  0.361  0.110  0.478
O  0.639  0.890  0.522
F  0.004  0.952  0.248
F  0.018  0.533  0.769
F  0.216  0.753  0.017
F  0.236  0.631  0.452
F  0.468  0.467  0.201
F  0.479  0.934  0.203
F  0.521  0.066  0.797
F  0.532  0.533  0.799
F  0.764  0.369  0.548
F  0.784  0.247  0.983
F  0.982  0.467  0.231
F  0.996  0.048  0.752


Pick <one>: it beats the second-best structure by 13.8 kJ/mol of atoms.
____________
I’ve been here at Guernsey Dairy Mama for a year and half now, this year it finally feels like home. With over 6,000 views this year I am hoping to really focus on reaching out and sharing with my target audience in 2017. That motivation came from my attendance of the 2016 AgChat Cultivate and Connect Conference. While I had attended regional Agchat meetings previously it was great to finally attend the national conference. Not only was it a great learning experience but an awesome opportunity to meet so many people in real life I had been following online. Ending my year with some new motivation for here on the blog was much needed. I also can’t end the year without mentioning completing the Oregon Dairy Farmers Association’s Young Dairy Leaders program in August. It was another amazing networking opportunity for me right here at home. I really took so much away from the 18 months I spent with my classmates and mentors. There were so many agvocating opportunities I enjoyed offline this year.

Counter clockwise from bottom: YDLI graduating Peer Group, Filming for Celebrate Oregon Ag, ODFA graduation class and Fun with friends at AgChat conference. 2016 a year of opportunity!
I’ve continued to enjoy posting to Instagram and Facebook as well. I reached my goal of 1,500 followers on Facebook, which is tiny in reality, but I really enjoy the conversations and interactions that take place there. Which is what this social media journey had always been about to me, connections over numbers! It is fun to see numbers double though, like they did for me this year on Instagram with over 2,100 followers. I still really enjoy Instagram as a platform, nothing beats pictures! There were lots of new popularity apps this year like Snapchat that just exploded, but I’ve always been a big advocate for not stretching myself too thin. I’m ok with not taking on an active presence anywhere else at this point. Blog, Facebook, Instagram…..happy Guernsey Dairy Mama! I hope you are enjoying following along with me on your favorite platform as well!
## Next to the entry, the page also holds calculated crystals
=====
(1)
Material: Pu2Se3
Method: DFT, PBE
State: optimized geometry

Output
The total magnetization comes out at 0.1 μB/f.u. As for the space group: I-42d. The energy above the most stable polymorph in this dataset is 87 meV/atom. The value obtained for the total energy is -9.255 eV/atom. The calculation puts the volume at 24.9 Å³/atom. For the energy of formation, the calculation gives -8.666 eV per formula unit.

a b c (Å): 14.5290 14.5290 14.5290
angles (deg): 145.14 145.14 50.12
Fractional positions:
1 Pu 0.0442 0.4215 0.8864
2 Pu 0.1661 0.1661 0.0000
3 Pu 0.1715 0.2942 0.3864
4 Pu 0.2148 0.8285 0.1226
5 Pu 0.2541 0.1250 0.6291
6 Pu 0.3750 0.7459 0.8709
7 Pu 0.4959 0.6250 0.3709
8 Pu 0.5352 0.1578 0.1136
9 Pu 0.5785 0.4648 0.6226
10 Pu 0.5839 0.0839 0.5000
11 Pu 0.7058 0.0922 0.8774
12 Pu 0.8339 0.8339 0.0000
13 Pu 0.8422 0.9558 0.3774
14 Pu 0.8750 0.5041 0.1291
15 Pu 0.9078 0.7852 0.6136
16 Pu 0.9161 0.4161 0.5000
17 Se 0.0088 0.1062 0.2490
18 Se 0.0717 0.8256 0.6028
19 Se 0.1744 0.7771 0.2461
20 Se 0.1880 0.0939 0.7499
21 Se 0.1881 0.5940 0.7501
22 Se 0.2189 0.4729 0.8972
23 Se 0.2229 0.4689 0.3972
24 Se 0.2402 0.9912 0.0974
25 Se 0.3440 0.4381 0.2501
26 Se 0.4060 0.1561 0.5941
27 Se 0.5098 0.1072 0.2510
28 Se 0.5271 0.4244 0.7461
29 Se 0.5311 0.9283 0.7539
30 Se 0.5620 0.8119 0.4059
31 Se 0.5619 0.8120 0.9059
32 Se 0.5756 0.3217 0.1028
33 Se 0.6783 0.7811 0.2539
34 Se 0.7412 0.4902 0.5974
35 Se 0.8439 0.4380 0.2499
36 Se 0.8562 0.2588 0.7490
37 Se 0.8572 0.7598 0.7510
38 Se 0.8928 0.1438 0.4026
39 Se 0.8938 0.1428 0.9026
40 Se 0.9061 0.6560 0.0941



(2)
Material: B
Method: DFT, PBE
State: optimized geometry

Output
The total magnetization comes out at 0.0 μB/f.u. As for the space group: P4_2/nnm. The energy above the most stable polymorph in this dataset is 155 meV/atom. The value obtained for the total energy is -6.524 eV/atom. The calculation puts the volume at 7.8 Å³/atom. For the energy of formation, the calculation gives 0.155 eV per formula unit.

a b c (Å): 8.6749 8.6749 4.9721
angles (deg): 90.00 90.00 90.00
Fractional positions:
1 B 0.0058 0.5058 0.1733
2 B 0.0058 0.9942 0.3267
3 B 0.0228 0.6670 0.6614
4 B 0.0228 0.8330 0.8386
5 B 0.0792 0.1660 0.8436
6 B 0.0792 0.3340 0.6564
7 B 0.1249 0.6249 0.3672
8 B 0.1249 0.8751 0.1328
9 B 0.1660 0.0792 0.1564
10 B 0.1660 0.4208 0.3436
11 B 0.1670 0.5228 0.6614
12 B 0.1670 0.9772 0.8386
13 B 0.3330 0.5228 0.8386
14 B 0.3330 0.9772 0.6614
15 B 0.3340 0.0792 0.3436
16 B 0.3340 0.4208 0.1564
17 B 0.3751 0.6249 0.1328
18 B 0.3751 0.8751 0.3672
19 B 0.4208 0.1660 0.6564
20 B 0.4208 0.3340 0.8436
21 B 0.4772 0.6670 0.8386
22 B 0.4772 0.8330 0.6614
23 B 0.4942 0.5058 0.3267
24 B 0.4942 0.9942 0.1733
25 B 0.5058 0.0058 0.8267
26 B 0.5058 0.4942 0.6733
27 B 0.5228 0.1670 0.3386
28 B 0.5228 0.3330 0.1614
29 B 0.5792 0.6660 0.1564
30 B 0.5792 0.8340 0.3436
31 B 0.6249 0.1249 0.6328
32 B 0.6249 0.3751 0.8672
33 B 0.6660 0.5792 0.8436
34 B 0.6660 0.9208 0.6564
35 B 0.6670 0.0228 0.3386
=====
I hope 2016 has been a good year for all my readers here. I think across the board lots of us have felt overwhelmed by this year. I think looking back at the 2016 Year End Review: Agvocacy I found it was a year of many opportunities I had overlooked here later in the year. In fact the word of the year might just have to be opportunity! I am not making any agvocacy promises or goals for 2017 as my focus will be on the Ladies as we make our transition to the new robotic facility by the end of January. Send your good vibes, thoughts and prayers our way for a smooth transition for ourselves and the cows. We are optimistic is will go smoothly, but still a stressful process. I am so excited to see my story changing in 2017 as a robot farmer, can’t wait to share it with you!
So here’s to you 2016 thanks for all the adventures. Cheers to 2017, a new year, a new perspective and a new start! Blessings to you all!

Thank for sharing, the article is very interesting. I really liked your view about farming. Really looking forward to read more.